_Source_
____________
1.
Formula: C6H12O
Source: the OMol25 dataset
Level of theory: the ωB97M-V functional and the def2-TZVPD basis

Cartesian coordinates (Å):
C -0.6407 1.8225 -1.1654
C 0.0931 0.6010 -0.6074
C 1.5941 0.8503 -0.4563
C -0.5021 0.2370 0.7301
O -1.7490 -0.4489 0.7223
C -0.6099 -1.1156 1.2681
C -0.1845 -2.4159 0.6306
H -0.2569 2.0971 -2.1535
H -1.7140 1.6236 -1.2540
H -0.5121 2.6878 -0.5022
H -0.0635 -0.2411 -1.2940
H 1.7856 1.6592 0.2603
H 2.0415 1.1412 -1.4125
H 2.1130 -0.0463 -0.0973
H -0.4368 1.0294 1.4834
H -0.6673 -1.2017 2.3512
H -0.3979 -2.4949 -0.4388
H -0.7748 -3.1589 1.1575
H 0.8822 -2.6257 0.7780

Force components x, y, z for each atom (eV/Å):
C -0.0153 0.0426 -0.0246
C -0.0010 -0.0505 -0.0079
C 0.0715 0.0179 0.0048
C 0.2741 0.1129 -0.0227
O -0.2152 0.0428 0.0496
C 0.0992 -0.2697 -0.0843
C 0.0011 0.2015 -0.0464
H -0.0460 -0.0386 0.1181
H 0.1631 0.0202 0.0032
H 0.0032 -0.1290 -0.0897
H 0.0116 0.0808 0.1366
H -0.0354 -0.1011 -0.0997
H -0.0655 -0.0320 0.1206
H -0.0871 0.1370 -0.0499
H -0.0743 0.0187 -0.1873
H 0.0898 0.1242 0.0449
H -0.0548 0.2411 0.1669
H 0.1053 -0.4943 -0.1621
H -0.2243 0.0755 0.1297

For the HOMO-LUMO gap, the calculation gives 11.11 eV. Its HOMO energy is -10.0 eV. The calculation puts the largest force on an atom at 0.53 eV Å⁻¹. The LUMO energy is 1.109 eV. The value obtained for the electronic energy is -8463.1899 eV.

=====

2.
Formula: C12H15AgAsN6PS4
Source: the OMol25 dataset
Level of theory: the ωB97M-V functional and the def2-TZVPD basis

Cartesian coordinates (Å):
Ag 0.6676 2.0011 -1.9476
C -1.5010 -1.5091 3.4978
N -1.6038 -0.0809 3.2696
C -2.1530 0.8291 4.1286
C -2.0279 2.0401 3.5065
N -1.4236 1.8969 2.2960
C -1.1667 0.6120 2.1620
P -0.3683 -0.3023 0.7995
C 1.2152 0.5640 0.6223
N 1.4237 1.8606 0.4638
C 2.7689 1.9947 0.2738
C 3.3756 0.7687 0.3241
N 2.3890 -0.1325 0.5778
C 2.5419 -1.5773 0.4762
C -1.3621 0.2003 -0.6373
N -1.6758 1.4224 -1.0340
C -2.3621 1.2630 -2.2018
C -2.4653 -0.0666 -2.5097
N -1.8484 -0.7382 -1.5009
C -1.5021 -2.1525 -1.5384
H -1.9460 -1.7419 4.4636
H -0.4604 -1.8288 3.4988
H -2.0231 -2.0656 2.7218
H -2.5697 0.5358 5.0775
H -2.3442 3.0065 3.8681
H 3.2201 2.9519 0.0736
H 4.3900 0.4624 0.1353
H 3.5989 -1.8167 0.5796
H 2.2140 -1.8902 -0.5195
H 1.9783 -2.0645 1.2696
H -2.7092 2.1070 -2.7735
H -2.8586 -0.5772 -3.3716
H -2.1604 -2.6468 -2.2511
H -1.6404 -2.5916 -0.5526
H -0.4713 -2.2495 -1.8919
S 4.3509 0.1123 -4.1721
As 2.2337 0.2652 -4.3512
S 1.6079 2.3855 -4.1775
S 1.3115 -0.6619 -2.5620
S 1.3563 -0.5853 -6.0932

Force components x, y, z for each atom (eV/Å):
Ag 0.2107 -0.2201 -0.3838
C -0.0016 0.0006 0.0155
N 0.0858 -0.1063 -0.1230
C 0.0102 -0.0236 0.0051
C -0.0684 0.0770 0.0597
N 0.0602 -0.0292 -0.0276
C -0.1086 0.1398 0.1148
P 0.0386 -0.1081 -0.1221
C -0.0347 -0.0424 0.0569
N -0.0340 0.0275 0.0408
C 0.0816 -0.0689 -0.0054
C -0.0051 0.1084 -0.0351
N -0.1147 -0.1213 -0.0367
C 0.1317 0.1450 -0.0291
C 0.0772 -0.0335 0.0803
N -0.0346 0.0053 0.1051
C -0.0327 -0.0857 -0.0661
C 0.0224 0.1219 -0.0451
N 0.0728 -0.1207 0.0990
C -0.1217 0.0830 -0.0933
H -0.0092 0.0344 0.0102
H 0.0163 0.0053 0.0122
H -0.0215 0.0028 -0.0105
H 0.0036 -0.0008 -0.0043
H 0.0043 -0.0240 -0.0079
H -0.0154 -0.0019 -0.0175
H -0.0246 -0.0014 -0.0074
H 0.0009 0.0344 0.0530
H -0.0448 -0.0055 0.0352
H -0.0333 -0.0560 -0.0303
H 0.0139 0.0111 -0.0025
H 0.0163 0.0085 0.0085
H -0.0479 0.0237 0.0198
H 0.0484 -0.0423 0.0219
H -0.0149 -0.0065 0.0478
S 0.2477 -0.0253 -0.0225
As -0.1436 -0.0750 0.2146
S -0.1001 0.3815 0.0702
S -0.1246 0.0812 0.2163
S -0.0067 -0.0931 -0.2169

For the HOMO-LUMO gap, the calculation gives 4.06 eV. Its HOMO energy is -0.2 eV. The calculation puts the largest force on an atom at 0.49 eV Å⁻¹. The LUMO energy is 3.879 eV. Its net charge is -2. The value obtained for the electronic energy is -139097.7985 eV.
____________

_Work order_
Count the lines further up that contain the word "energy" and give the number alone.

_Outcome_
2